

作者: 最爱可乐 | 来源:发表于2019-11-28 17:17 被阅读0次

    重来 更为简单有效的商业思维


    Chapter First 开局篇

    The New Reality 人人都能开创事业

    Chapter Takedowns 卸负篇

    Ignore the real world 现实世界只是不去尝试的借口

    Learning from mistake is overrated 择其善者而从之,其不善者而改之。

    Planning is guessing 不可掌控因素太多,及时调整

    Why Grow? 成功事业的核心是可持续赢利,与人数无关

    Workaholism 工作狂效率不高,不可持续

    Be a starter, enough with "entrepreneurs" 用自己的方式做自己喜欢做的事情,并获得回报

    Chapter Go 行动篇

    Make a dent in the universe 改变世界,拒绝照搬

    Scratch your own itch 做自己想用的东西,最佳用户

    Start making something 有意义的是做了什么,而不是想/说/计划了什么

    Draw a line in the sand 确认要做什么和不做什么

    No time is no excuse 完美的时机永远都不会出现

    Mission statement impossible 坚守信念,并以之为生活方式。

    Outside money is Plan Z 投资人只想套现/通常不是好交易/融资超级耗费精力

    You need less than you think 最低必需资源

    Start a business, not a startup 无法盈利的不是事业,只是嗜好

    Building a flip is building a flop 思考如何成长和成功而不是何时退出

    Less mass 精简迭代

    Chapter Progress 进阶篇

    Embrace constraints 限制条件激发创意

    Build half a product, not a half-assed product: MVP

    Start at the epicenter 从应该做的核心开始

    Ignore the details early on 不要过早执着于细节

    Making the call is making progress 早作决定,加快进度。

    Be a curator 去粗取精,关注最关键

    Focus on what won't change 十年后还需要的事物

    Throw less at the problem 删减菜单,做成精品

    Tone is in your fingers 不要过分关注工具,抓住本质

    Sell your by-products 注意你的副产品

    Launch now 提早上线,两周迭代

    Chapter Productivity 效率篇

    Illusions of agreement 执行中更能产生创意

    Reasons to quit 问题的本质?客户是谁?最优方案?价值?

    Interruption is the enemy of productivity 集中注意力,减少中断

    Meetings are toxic 会议有毒

    Good enough is fine 不要过早优化/完美化。

    Quick wins 任务切分

    Don't be a hero 知难而退也是选项

    Go to sleep 好好休息

    Long lists don't get done 化大为小,逐个击破

    Your estimates suck 人类不善于给大项目做估算

    Make tiny decisions 易于实现,灵活机动

    Chapter Competitors 对手篇

    Don't copy 只能复制表象,缺乏深层次的理解

## Between two parts of the page: materials data
<<<
# 1
Crystalline Zr3Bi10Br18 at its relaxed geometry, computed with PBE.

Output
Formation energy, eV per atom: -1.10
M_tot, μB per formula unit: 0.03

```
data_Zr3Bi10Br18
_chemical_formula_sum 'Zr6 Bi20 Br36'
_cell_length_a 14.9093
_cell_length_b 14.9093
_cell_length_c 11.6569
_cell_angle_alpha 90.00
_cell_angle_beta 90.00
_cell_angle_gamma 120.00
_symmetry_space_group_name_H-M 'P 63'
_symmetry_Int_Tables_number 173
_symmetry_space_group_name_Hall 'P 6c'
loop_
_atom_site_label
_atom_site_type_symbol
_atom_site_fract_x
_atom_site_fract_y
_atom_site_fract_z
_atom_site_occupancy
Zr1 Zr 0.1051 0.3356 0.0000 1
Bi1 Bi 0.0000 0.0000 0.1445 1
Bi2 Bi 0.1247 0.5250 0.5024 1
Bi3 Bi 0.2364 0.7123 0.6707 1
Bi4 Bi 0.2398 0.7150 0.3271 1
Br1 Br 0.0595 0.4247 0.1798 1
Br2 Br 0.0709 0.4469 0.8477 1
Br3 Br 0.0805 0.8618 0.1607 1
Br4 Br 0.0925 0.8063 0.4989 1
Br5 Br 0.0923 0.8405 0.8451 1
Br6 Br 0.1821 0.7019 0.0386 1
```

# 2
Crystalline CaBiCO4F at its relaxed geometry, computed with PBE.

Output
Formation energy, eV per atom: -2.52
Excess energy over the best structure of this formula in the dataset, eV per atom: 0.000
M_tot, μB per formula unit: 0.00

```
data_CaBiCO4F
_chemical_formula_sum 'Ca4 Bi4 C4 O16 F4'
_cell_length_a 5.409
_cell_length_b 13.826
_cell_length_c 5.421
_cell_angle_alpha 90.00
_cell_angle_beta 90.00
_cell_angle_gamma 90.00
_symmetry_space_group_name_H-M 'P c c a'
_symmetry_Int_Tables_number 54
_symmetry_space_group_name_Hall '-P 2a 2ac'
loop_
_atom_site_label
_atom_site_type_symbol
_atom_site_fract_x
_atom_site_fract_y
_atom_site_fract_z
_atom_site_occupancy
Ca1 Ca 0.000 0.099 0.250 1
Bi1 Bi 0.000 0.406 0.250 1
C1 C 0.000 0.243 0.750 1
O1 O 0.000 0.339 0.750 1
O2 O 0.149 0.199 0.604 1
O3 O 0.250 0.500 0.498 1
F1 F 0.250 0.000 0.487 1
```

# 3
Crystalline CaBiCO4F at its relaxed geometry, computed with PBE.

Output
Formation energy, eV per atom: -2.40
Excess energy over the best structure of this formula in the dataset, eV per atom: 0.122
M_tot, μB per formula unit: 0.01

```
data_CaBiCO4F
_chemical_formula_sum 'Ca2 Bi2 C2 O8 F2'
_cell_length_a 3.473
_cell_length_b 4.555
_cell_length_c 13.378
_cell_angle_alpha 90.00
_cell_angle_beta 90.00
_cell_angle_gamma 90.00
_symmetry_space_group_name_H-M 'P m m n'
_symmetry_Int_Tables_number 59
loop_
_symmetry_equiv_pos_as_xyz
'x,y,z'
'-x,-y,-z'
'-x+1/2,-y+1/2,z'
'x+1/2,y+1/2,-z'
'x+1/2,-y,-z'
'-x+1/2,y,z'
'-x,y+1/2,-z'
'x,-y+1/2,z'
loop_
_atom_site_label
_atom_site_type_symbol
_atom_site_fract_x
_atom_site_fract_y
_atom_site_fract_z
_atom_site_occupancy
Ca1 Ca 0.250 0.250 0.096 1
Bi1 Bi 0.250 0.250 0.404 1
C1 C 0.250 0.250 0.760 1
O1 O 0.250 0.005 0.806 1
O2 O 0.250 0.250 0.661 1
O3 O 0.250 0.750 0.494 1
F1 F 0.250 0.750 0.018 1
```

Which formula does entry 2 have?
CaBiCO4F

Among the records above, which one has the lowest M_tot?
number 2
>>>

    Decommoditize your product 把理念放入产品,难以复制

    Pick a fight 找到对手,让人们注意到你,点燃人们的激情

    Underdo your competition 减少功能,将其做好

    Who cares what they're doing? 不要过多关注对手

    Chapter Evolution 进化篇

    Say no by default 盲目妥协带来麻烦

    Let your customers outgrow you 不要被大客户操控,小巧、简单、满足基本需求

    Don't confuse enthusiasm with priority 好主意需要全面评价

    Don't write it down 重要的需求客户会反复提醒你

    Be at-home good: 用核心功能打动用户,口碑传播。

    Chapter Promotion 推广篇

    Welcome obscurity 先小范围发布,让用户尝试

### Unrelated to this article: materials data
<<<
Rb3FeF3: optimized geometry, PBE+U.

- M_tot (μB per formula unit) = 4.0
- V (Å³/atom) = 26.503

```
data_Rb3FeF3
_cell_length_a 6.223
_cell_length_b 6.386
_cell_length_c 10.587
_cell_angle_alpha 81.47
_cell_angle_beta 78.36
_cell_angle_gamma 64.52
_symmetry_space_group_name_H-M 'P 1'
_symmetry_Int_Tables_number 1
loop_
_symmetry_equiv_pos_as_xyz
'x,y,z'
loop_
_atom_site_label
_atom_site_fract_x
_atom_site_fract_y
_atom_site_fract_z
_atom_site_occupancy
Rb1 0.388 0.375 0.857 1
Rb2 0.130 0.132 0.620 1
Rb3 0.900 0.862 0.371 1
Rb4 0.761 0.744 0.748 1
Rb5 0.655 0.592 0.121 1
Rb6 0.274 0.230 0.238 1
F1 0.638 0.165 0.609 1
F2 0.730 0.094 0.132 1
F3 0.874 0.310 0.887 1
F4 0.378 0.810 0.380 1
F5 0.186 0.567 0.602 1
F6 0.121 0.644 0.087 1
Fe1 0.535 0.487 0.489 1
Fe2 0.040 0.978 0.988 1
```


FeSnF6: optimized geometry, PBE+U.

- M_tot (μB per formula unit) = 4.0
- V (Å³/atom) = 15.160

```
data_FeSnF6
_cell_length_a 5.484
_cell_length_b 5.484
_cell_length_c 5.631
_cell_angle_alpha 60.86
_cell_angle_beta 60.86
_cell_angle_gamma 60.00
_symmetry_space_group_name_H-M 'P 1'
_symmetry_Int_Tables_number 1
loop_
_symmetry_equiv_pos_as_xyz
'x,y,z'
loop_
_atom_site_label
_atom_site_fract_x
_atom_site_fract_y
_atom_site_fract_z
_atom_site_occupancy
Sn1 0.000 0.000 0.000 1
F1 0.239 0.650 0.248 1
F2 0.863 0.239 0.248 1
F3 0.650 0.863 0.248 1
F4 0.761 0.350 0.752 1
F5 0.350 0.137 0.752 1
F6 0.137 0.761 0.752 1
Fe1 0.500 0.500 0.500 1
```


TlFeF3: optimized geometry, PBE+U.

- M_tot (μB per formula unit) = 4.0
- V (Å³/atom) = 15.401

```
data_TlFeF3
_cell_length_a 4.254
_cell_length_b 4.254
_cell_length_c 4.254
_cell_angle_alpha 90.00
_cell_angle_beta 90.00
_cell_angle_gamma 90.00
_symmetry_space_group_name_H-M 'P 1'
_symmetry_Int_Tables_number 1
loop_
_symmetry_equiv_pos_as_xyz
'x,y,z'
loop_
_atom_site_label
_atom_site_fract_x
_atom_site_fract_y
_atom_site_fract_z
_atom_site_occupancy
Fe1 0.500 0.500 0.500 1
F1 0.500 0.500 0.000 1
F2 0.000 0.500 0.500 1
F3 0.500 0.000 0.500 1
Tl1 0.000 0.000 0.000 1
```


Tl3FeF6: optimized geometry, PBE+U.

- V (Å³/atom) = 19.626

```
data_Tl3FeF6
_cell_length_a 6.523
_cell_length_b 6.523
_cell_length_c 6.523
_cell_angle_alpha 60.00
_cell_angle_beta 60.00
_cell_angle_gamma 60.00
_symmetry_space_group_name_H-M 'P 1'
_symmetry_Int_Tables_number 1
loop_
_symmetry_equiv_pos_as_xyz
'x,y,z'
loop_
_atom_site_label
_atom_site_fract_x
_atom_site_fract_y
_atom_site_fract_z
_atom_site_occupancy
Tl1 0.500 0.500 0.500 1
Tl2 0.750 0.750 0.750 1
Tl3 0.250 0.250 0.250 1
F1 0.787 0.213 0.787 1
F2 0.787 0.213 0.213 1
F3 0.213 0.213 0.787 1
F4 0.787 0.787 0.213 1
F5 0.213 0.787 0.787 1
F6 0.213 0.787 0.213 1
Fe1 0.000 0.000 0.000 1
```


YFeF5: optimized geometry, PBE+U.

- M_tot (μB per formula unit) = 4.0
- V (Å³/atom) = 17.503

```
data_YFeF5
_cell_length_a 5.818
_cell_length_b 5.818
_cell_length_c 5.818
_cell_angle_alpha 137.34
_cell_angle_beta 106.22
_cell_angle_gamma 89.16
_symmetry_space_group_name_H-M 'P 1'
_symmetry_Int_Tables_number 1
loop_
>>>

    Build an audience 培养拥趸

    Out-teach your competition 传授知识,建立凝聚力

    Emulate chefs:像大厨一样分享你的成功秘方

    Go behind the scenes 让人们看到内部运作,培养忠诚

    Nobody likes plastic flowers 坦诚

    Press Releases are spam 新闻稿平庸无聊,个人化沟通

    Forget about the Wall Street Journal 利基网站/博客/社区传播

    Drug dealers get it right 免费试用

    Marketing is not a department 注意与客户相关的一切。

    The myth of the overnight sensation 好品牌与顾客的关系是长期经营的结果

    Chapter Hiring 招聘篇

    Do it yourself first 自己先做再招人,了解工作全景

Here the text breaks off for calculated crystals:
=====
Below is Na6Y3TaSi2P4O24 after structural relaxation, with properties calculated at the GGA-PBE level. Values from VASP.

Computed properties:
MP2020-corrected energy in eV per formula unit: -313.27
ρ in g cm⁻³: 3.37
Energy relative to the elements in kcal/mol of atoms: -70.8

The structure in Quantum ESPRESSO input format:
```
&SYSTEM
  ibrav = 0, nat = 80, ntyp = 6
/
ATOMIC_SPECIES
Na 22.99 Na.upf
Y 88.91 Y.upf
Ta 180.95 Ta.upf
Si 28.09 Si.upf
P 30.97 P.upf
O 16.00 O.upf
CELL_PARAMETERS angstrom
13.391 -0.020 -9.055
-0.011 9.245 0.002
-0.220 0.004 9.308
ATOMIC_POSITIONS crystal
Na 0.252 0.753 0.000
Na 0.748 0.759 0.495
Na 0.752 0.253 0.000
Na 0.248 0.259 0.495
Na 0.500 0.084 0.739
Na 0.505 0.881 0.245
Na 0.000 0.584 0.739
Na 0.005 0.381 0.245
Na 0.190 0.932 0.296
Na 0.807 0.082 0.713
Na 0.690 0.432 0.296
Na 0.307 0.582 0.713
Y 0.102 0.762 0.561
Y 0.898 0.241 0.441
Y 0.108 0.252 0.055
Y 0.602 0.262 0.561
Y 0.398 0.741 0.441
Y 0.608 0.752 0.055
Ta 0.896 0.746 0.948
Ta 0.396 0.246 0.948
Si 0.353 0.908 0.756
Si 0.651 0.108 0.254
Si 0.853 0.408 0.756
Si 0.151 0.608 0.254
P 0.997 0.941 0.767
P 0.992 0.047 0.235
P 0.497 0.441 0.767
P 0.492 0.547 0.235
P 0.652 0.893 0.736
P 0.357 0.096 0.256
P 0.152 0.393 0.736
P 0.857 0.596 0.256
O 0.161 0.560 0.742
O 0.847 0.589 0.777
O 0.853 0.431 0.229
O 0.155 0.432 0.253
O 0.661 0.060 0.742
O 0.347 0.089 0.777
O 0.353 0.931 0.229
O 0.655 0.932 0.253
O 0.434 0.543 0.607
O 0.565 0.526 0.938
O 0.546 0.455 0.401
O 0.435 0.443 0.070
O 0.934 0.043 0.607
O 0.065 0.026 0.938
O 0.046 0.955 0.401
O 0.935 0.943 0.070
O 0.262 0.831 0.753
O 0.751 0.830 0.768
O 0.732 0.194 0.234
O 0.265 0.147 0.249
O 0.762 0.331 0.753
O 0.251 0.330 0.768
O 0.232 0.694 0.234
O 0.765 0.647 0.249
O 0.352 0.886 0.578
O 0.643 0.850 0.886
O 0.662 0.159 0.430
O 0.359 0.167 0.100
O 0.852 0.386 0.578
O 0.143 0.350 0.886
O 0.162 0.659 0.430
O 0.859 0.667 0.100
O 0.461 0.853 0.927
O 0.559 0.839 0.558
O 0.531 0.169 0.086
O 0.455 0.140 0.431
O 0.961 0.353 0.927
O 0.059 0.339 0.558
O 0.031 0.669 0.086
O 0.955 0.640 0.431
O 0.058 0.825 0.747
O 0.913 0.855 0.772
O 0.916 0.153 0.225
O 0.077 0.135 0.240
O 0.558 0.325 0.747
O 0.413 0.355 0.772
O 0.416 0.653 0.225
O 0.577 0.635 0.240
```
=====

    Hire when it hurts 必需才招人

    Pass on great people 招需要的人

    Strangers at a cocktail party 可直言、安全感的环境

    Resumes are ridiculous 认同公司

    Years of irrelevance 努力、性格、智力

    Forget about formal education 扩大待选招聘范围。

    Everybody works 不要招聘监工

    Hire managers of one 招聘自我驱动、完成工作的人

    Hire great writers 沟通,表达

    The best are everywhere 每天定期沟通,每年定期面对面

    Test-drive employees 实战能力

    Chapter Damage Control 救灾篇

    Own your bad news 出现问题,马上告诉客户

    Speed changes everything: 快速反应

    How to say you're sorry 解释经过,预防措施

    Put everyone on the front lines 每个人参与客服

    Take a deep breath 发布新特性后,不要急于回应负面反馈

    Chapter Culture 文化篇

    You don't create a cultur 文化来自于日常做事的方式

    Decisions are temporary 临时性决策

    Build a rockstar environment, skip the rock stars 用环境培养人

    They're not thirteen 简化上报审批

    Send people home at 5 工作效率更重要

    Don't scar on the first cut 多次犯错再定制度

    Sound like you 通俗易懂的语言

    Four-letter words 措辞柔和

    Chapter Conclusion 总结篇

    ASAP is poison 慎用紧急命令

    Inspiration is perishable 灵感稍纵即逝



